**Excerpt**
This record from the Alexandria database describes a relaxed structure of BaMgNiO2. The functional is PBE+U.

Total magnetization: 0.922 μB/cell
Final energy: -3.14 eV/atom
D(E_F): 3.37 states/eV/cell
Calculated density: 4.607 Mg/m³

Unit cell a=4.367 b=4.367 c=4.769 alpha=90.00 beta=90.00 gamma=90.00
Fractional positions:
Ba  0.000  0.000  0.000
Mg  0.500  0.500  0.000
Ni  0.000  0.000  0.500
O  0.000  0.500  0.500
O  0.500  0.000  0.500

* * * * *

The following is a SCAN calculation of a crystal of YBe2Fe2 relaxed with PBEsol, from Alexandria.

Cell lengths 5.085, 5.085, 5.085 Å; angles 135.06, 135.06, 65.43 degrees
Sites, in units of the cell vectors:
Y: 0.000 0.000 0.000
Be: 0.250 0.750 0.500
**Exercise**
Next, reproduce everything above word for word.
**Done**
This record from the Alexandria database describes a relaxed structure of BaMgNiO2. The functional is PBE+U.

Total magnetization: 0.922 μB/cell
Final energy: -3.14 eV/atom
D(E_F): 3.37 states/eV/cell
Calculated density: 4.607 Mg/m³

Unit cell a=4.367 b=4.367 c=4.769 alpha=90.00 beta=90.00 gamma=90.00
Fractional positions:
Ba  0.000  0.000  0.000
Mg  0.500  0.500  0.000
Ni  0.000  0.000  0.500
O  0.000  0.500  0.500
O  0.500  0.000  0.500

* * * * *

The following is a SCAN calculation of a crystal of YBe2Fe2 relaxed with PBEsol, from Alexandria.

Cell lengths 5.085, 5.085, 5.085 Å; angles 135.06, 135.06, 65.43 degrees
Sites, in units of the cell vectors:
Y: 0.000 0.000 0.000
Be: 0.250 0.750 0.500